
Creative Class Communities

Creative ClassCreative Class CommunitiesRise of the Creative Class Revisited InterviewsRise of the Creative Class Revisted News Articles

The Cap Times : Madison360: A decade later, Madison still makes the ‘creative class’ grade

[The article is interrupted by calculated crystals]
********
No. 1
Below is an optimized crystal structure of HoAl10Ru2, with properties calculated at the PBE-GGA level.

a = 6.861 Å, b = 6.861 Å, c = 9.149 Å
α = 90.00°, β = 90.00°, γ = 96.76°
Fractional coordinates of all 26 atoms:
Ho 0.127 0.873 0.750
Ho 0.873 0.127 0.250
Al 0.139 0.414 0.750
Al 0.156 0.844 0.099
Al 0.156 0.844 0.401
Al 0.222 0.480 0.250
Al 0.227 0.227 0.000
Al 0.227 0.227 0.500
Al 0.376 0.624 0.550
Al 0.376 0.624 0.950
Al 0.414 0.139 0.250
Al 0.480 0.222 0.750
Al 0.520 0.778 0.250
Al 0.586 0.861 0.750
Al 0.624 0.376 0.050
Al 0.624 0.376 0.450
Al 0.773 0.773 0.000
Al 0.773 0.773 0.500
Al 0.778 0.520 0.750
Al 0.844 0.156 0.599
Al 0.844 0.156 0.901
Al 0.861 0.586 0.250
Ru 0.000 0.500 0.000
Ru 0.000 0.500 0.500
Ru 0.500 0.000 0.000
Ru 0.500 0.000 0.500

Results
volume: 428 Å³ per cell
formation energy: -514 meV/atom
total energy: -67.28 eV per formula unit


No. 2
Below is an optimized crystal structure of CeGaPt4, with properties calculated at the PBE-GGA level.

a = 5.505 Å, b = 5.505 Å, c = 4.277 Å
α = 90.00°, β = 90.00°, γ = 120.00°
Fractional coordinates of all 6 atoms:
Ce 0.000 0.000 0.000
Ga 0.333 0.667 0.000
Pt 0.002 0.501 0.500
Pt 0.499 0.501 0.500
Pt 0.499 0.998 0.500
Pt 0.667 0.333 0.000

Results
volume: 112 Å³ per cell
formation energy: -764 meV/atom
total energy: -37.83 eV per formula unit


No. 3
Below is an optimized crystal structure of MgTiS2, with properties calculated at the PBE-GGA level.

a = 3.433 Å, b = 3.433 Å, c = 6.794 Å
α = 104.19°, β = 104.19°, γ = 60.13°
Fractional coordinates of all 4 atoms:
Mg 0.000 0.000 0.000
Ti 0.837 0.837 0.500
S 0.247 0.247 0.737
S 0.426 0.426 0.262

Results
volume: 67 Å³ per cell
formation energy: -1436 meV/atom
total energy: -22.51 eV per formula unit


No. 4
Below is an optimized crystal structure of LiSbP2O7, with properties calculated at the PBE-GGA level.

a = 4.963 Å, b = 9.002 Å, c = 7.548 Å
α = 90.00°, β = 106.07°, γ = 90.00°
Fractional coordinates of all 22 atoms:
Li 0.204 0.000 0.154
Li 0.796 0.500 0.846
Sb 0.200 0.349 0.223
Sb 0.800 0.849 0.777
P 0.220 0.038 0.580
P 0.416 0.668 0.071
P 0.584 0.168 0.929
P 0.780 0.538 0.420
O 0.066 0.522 0.380
O 0.198 0.088 0.386
O 0.227 0.524 0.040
O 0.243 0.809 0.054
O 0.388 0.891 0.634
O 0.390 0.162 0.054
O 0.395 0.166 0.715
O 0.605 0.666 0.285
O 0.610 0.662 0.946
O 0.612 0.391 0.366
O 0.757 0.309 0.946
O 0.773 0.024 0.960
O 0.802 0.588 0.614
O 0.934 0.022 0.620

Results
volume: 324 Å³ per cell
formation energy: -2497 meV/atom
total energy: -74.16 eV per formula unit


No. 5
Below is an optimized crystal structure of Nd2TiCuO6, with properties calculated at the PBE-GGA level.

a = 5.502 Å, b = 5.838 Å, c = 9.379 Å
α = 90.00°, β = 125.78°, γ = 90.00°
Fractional coordinates of all 20 atoms:
Nd 0.234 0.068 0.249
Nd 0.234 0.432 0.749
Nd 0.766 0.568 0.251
Nd 0.766 0.932 0.751
Ti 0.500 0.000 0.000
Ti 0.500 0.500 0.500
Cu 0.000 0.000 0.500
Cu 0.000 0.500 0.000
O 0.163 0.181 0.952
O 0.163 0.319 0.452
O 0.264 0.713 0.949
O 0.264 0.787 0.449
********

Florida’s 2002 bestseller, “The Rise of the Creative Class,” has sparked many debates about the relative importance of creativity to the economic health of cities. In his new book, “The Rise of the Creative Class — Revisited,” Florida reiterates, updates and expands on his bottom line: “Cities need a people climate as much, and perhaps even more, than they need a business climate.” Paul Fanlund interviews Richard Florida asking him a series of Madison-centric questions.

November 2, 2012
Creative ClassCreative Class Communities

Columbus Underground : Richard Florida to Speak in Columbus about our Creative Economy

Florida speaks at COSI at the 2012 Innovate Columbus event presented by TechColumbus and the Fisher College of Business at The Ohio State University. Columbus Underground’s Walker had the opportunity to chat with Richard to learn a bit more about how his ideas apply specifically to Columbus, and to preview what we can expect during his presentation.

November 2, 2012
Creative Class CommunitiesEconomyTalent, Technology and Tolerance : Creating a shared economic prosperity for the Metroplex requires a four-T approach

For the past year, Richard Florida and his Creative Class Group have partnered with UT Arlington to examine the region’s assets and challenges. The effort engaged representatives from the School of Architecture, the College of Education and Health Professions, and the School of Urban and Public Affairs, with input from major chambers of commerce, local elected officials, Vision North Texas, the North Texas Commission, and civic groups.

September 27, 2012
Creative Class CommunitiesUrban

UT Alrington Magazine : Building an Urban Utopia

For the past year the Creative Class Group has partnered with UT Arlington to examine the region’s assets and challenges. The joint effort engaged representatives from the School of Architecture, the College of Education and Health Professions, and the School of Urban and Public Affairs, with input from major chambers of commerce, local elected officials, Vision North Texas, the North Texas Commission, and civic groups.

August 14, 2012
Creative Class Communities

The Durham News : Arts give monetary, creative boost to economy

Richard Florida published “The Rise of the Creative Class,” which set forth a cluster of indicators that predicted a flourishing urban community. Talent, Tolerance and Technology are Florida’s “three T’s,” qualities that Durham can claim in abundance. “To attract creative people, generate innovation and stimulate economic growth, a place must have all three.” (source: Catalytix, Inc., A Richard Florida Creativity Group)

April 13, 2009
Creative Class Communities

The Noosa Journal : Festival a money-spinner

The Great Noosa Camp Out was the first of five projects to come from the Noosa Creative Alliance, developed from Richard Florida’s Creative Communities Leadership Program model. About 30 “catalysts’’ were chosen at the start of the Alliance last year to work on projects to boost Noosa’s economic prosperity by attracting and supporting creative industries.

March 2, 2009
Creative Class Communities

Dayton Daily News : Kevin Riley: Young, creative types could be most powerful people in town

The DaytonCREATE initiative was launched last year with the help of economist and best-selling author Richard Florida. He urges communities that want to thrive economically to recruit and cultivate a “creative class” — artists, musicians, engineers and high-tech workers, all people who think and create for a living. A number of projects have grown out of the work of Dayton’s creative “catalysts.”

February 21, 2009
Creative Class Communities

fromtheeditr blog spot : Creating a Creative Roanoke Creatively

Roanoke CCLP to be launched at a two-day seminar for selected leaders where the Creative Class Group will work with the volunteers to build an understanding of the creative economy, the community’s 4Ts (Talent, Technology, Tolerance and Territory Assets), identify strategic economic goals and develop a framework of projects to engage the Roanoke community.

February 16, 2009
Creative Class CommunitiesEconomyRichard Florida ColumnsThe Great Reset News Articles

The Atlantic : How the Crash Will Reshape America

The crash of 2008 continues to reverberate loudly nationwide—destroying jobs, bankrupting businesses, and displacing homeowners. But already, it has damaged some places much more severely than others. On the other side of the crisis, America’s economic landscape will look very different than it does today. What fate will the coming years hold for New York, Charlotte, Detroit, Las Vegas? Will the suburbs be ineffably changed? Which cities and regions can come back strong? And which will never come back at all?

February 11, 2009